5 Steps to Facilitate a Killer Training Workshop
Darren Grimes was exhausted.
He’d been awake all night, tossing and turning.
No matter how many sheep he counted or how he tried to rationalize it, it was impossible to control the panic. In just a short time he would be faced with the challenge of a lifetime: a 7 hour workshop in front of 30 peers. Training them how to use a new computer system he knew they didn’t care about.
Frazzled, and nursing a double espresso, Darren stared bleary-eyed at the clock.
8.29. Time to make a move.
He gulped his coffee, picked up his laptop and papers, and made his way to Conference Room 6 to prepare.
This wasn’t going to be a good day.
Whether you’ve had to facilitate a workshop before or not, I’m sure you can imagine how Darren must feel.
He’s about to spend 7 hours standing in front of a group of people who would almost certainly prefer to be anywhere else. He’s going to talk to them about something they don’t particularly care about. And he knows they don’t care.
For Darren, this is a nightmare!
His audience will feel it too. They have to suffer through hours of Darren’s monotone lecture, interspersed with nervous laughter, dodgy slides, and forgotten information.
Someone pasted quantum chemistry results at this point:
<<<
Version one
A 2-piece molecular cluster, C3H10N2O2 overall, computed with wB97M-V/def2-TZVPD.

```
! wB97M-V def2-TZVPD RIJCOSX def2/J DEFGRID3
* xyz 0 1
C -2.545 -0.102 -1.193
C -1.767 -0.238 0.128
N -0.393 0.184 -0.109
C 0.603 0.161 0.814
N 0.234 -0.118 2.111
O 1.727 0.627 0.603
H -2.030 -0.475 -2.076
H -2.847 0.924 -1.350
H -3.423 -0.736 -1.035
H -2.270 0.513 0.757
H -1.781 -1.174 0.674
H -0.182 0.790 -0.884
H 0.928 0.122 2.786
H -0.676 -0.485 2.245
O 2.072 -0.299 -1.834
H 2.513 -1.143 -1.690
H 2.092 0.094 -0.921
*
```

Output
LUMO level: 0.690 eV
HOMO level: -9.71 eV
SMILES string: CCNC(N)=O.O
HOMO-LUMO gap: 10.395 eV

---

Version two
C3H10N2O2 as an isolated structure, computed with wB97M-V/def2-TZVPD.

```
! wB97M-V def2-TZVPD RIJCOSX def2/J DEFGRID3
* xyz 0 1
C -1.174 0.203 0.637
N -1.713 -0.625 -0.317
N -1.664 1.499 0.663
O -0.956 -0.268 1.915
H -0.526 -1.131 1.870
H 0.153 0.337 0.110
H -1.183 -0.469 -1.239
H -1.104 2.170 1.167
H -2.188 1.775 -0.153
H -1.612 -1.606 -0.088
C 2.139 -0.600 -0.295
C 0.998 0.196 -0.921
O 0.308 -0.345 -1.859
H 1.240 1.275 -1.026
H 2.522 -0.119 0.609
H 1.804 -1.612 -0.057
H 2.956 -0.680 -1.016
*
```

Output
LUMO level: 0.502 eV
HOMO level: -8.73 eV
HOMO-LUMO gap: 9.227 eV

---

Version three
C3H10N2O2 as an isolated structure, computed with wB97M-V/def2-TZVPD.

```
! wB97M-V def2-TZVPD RIJCOSX def2/J DEFGRID3
* xyz 0 1
C -1.149 0.717 0.771
N -2.641 -0.399 -1.017
O -1.303 0.019 -0.858
H -2.658 -1.417 -1.072
H -2.958 -0.018 -1.905
H -1.587 -0.114 1.313
H -0.301 1.178 1.263
H -1.865 1.510 0.581
N 2.388 1.011 0.790
C 1.378 -1.087 0.090
C 1.507 0.257 0.000
O 0.483 -1.814 -0.585
H -0.251 -1.169 -0.897
H 2.863 1.744 0.283
H 3.052 0.454 1.308
H 2.051 -1.679 0.707
H 0.991 0.807 -0.773
*
```

Output
LUMO level: 0.916 eV
HOMO level: -7.11 eV
HOMO-LUMO gap: 8.027 eV

---

Version four
One molecule with the formula C3H10N2O2, computed with wB97M-V/def2-TZVPD.

```
! wB97M-V def2-TZVPD RIJCOSX def2/J DEFGRID3
* xyz 0 1
C -0.601 1.293 0.838
C 0.057 0.216 -0.035
O -0.237 0.477 -1.549
C -0.727 -1.143 0.083
O -2.090 -1.010 -0.251
N 1.440 0.116 0.287
N 2.193 -0.983 -0.068
H 0.042 1.380 1.796
H -0.568 2.212 0.354
H -1.663 0.985 1.019
H 0.049 1.313 -1.704
H -0.672 -1.313 1.258
H -0.223 -1.940 -0.389
H -2.227 -0.996 -1.202
H 1.809 0.940 0.011
H 1.676 -1.774 0.309
H 2.456 -1.049 -1.086
*
```

Output
LUMO level: 0.785 eV
HOMO level: -8.69 eV
SMILES string: C[C@](O)(CO)NN
HOMO-LUMO gap: 9.471 eV

---

Relative energies, unit kJ/mol: version one 0.0; version two 241.8; version three 491.6; version four 283.5

---

Version one
A 2-piece molecular cluster, C3H10N2O2 overall, computed with wB97M-V/def2-TZVPD.

```
! wB97M-V def2-TZVPD RIJCOSX def2/J DEFGRID3
* xyz 0 1
C 0.314 -2.106 -0.454
C -2.280 0.946 0.178
C -0.240 -0.126 0.661
N 2.736 0.116 0.171
N 1.767 0.989 -0.213
O 0.384 -1.334 0.732
O -1.349 -0.063 -0.121
H -0.681 -2.555 -0.565
H 1.062 -2.897 -0.355
H 0.525 -1.485 -1.331
H -3.275 0.515 0.051
H -2.156 1.788 -0.511
>>>
So much for the quantum chemistry results:
At 5 pm, the result of this distasteful experience is that Darren vows to never do another workshop and his audience, rushing for their freedom like escapee bank hostages, retain nothing.
There has to be a better way.
The Problem With Training
The problem with training is the people delivering it. People like Darren.
Now, it’s not Darren’s fault. He’s just copying what he’s seen his peers and superiors do when they run workshops.
Darren’s mindset is wrong.
Darren believes that as facilitator he needs to do the talking. Darren believes that the audience will only learn if he lectures his knowledge to them. He should be in control, and he’s responsible for what the audience retains and whether they enjoy themselves.
Nothing could be further from the truth.
But this mindset is how a lot of training is delivered in businesses every day, the world over.
The Role Of Facilitator
“Facilitate” means to assist, to help, to make things easier.
Lecturing facts to group of disengaged business people is not facilitating.
When you facilitate a training session or workshop you should be focused on helping people to develop. Facilitating the acquisition of new skills or the understanding of new information. Making the new skills or new information as easy to digest as possible.
Your audience may well start off disengaged, but if you facilitate in the right way you can turn this around and make the experience positive for everyone, including yourself.
How To Facilitate A Killer Training Workshop
The key to facilitating a killer workshop is to talk as little as possible.
Of course, as the facilitator of the group you will be responsible for setting the context and laying out the agenda. But, when it comes to getting your audience to understand the new skills or concepts… Just. Stop. Talking.
Here is the 5 step plan to train any new skill or any concept in any workshop:
1. Introduce the topic and give some background
2. Split participants into pairs or small groups and have them discuss the learning point
3. Groups or pairs nominate a speaker to present their discussion findings to other groups
4. Groups ask questions to better understand speaking team’s position
5. Facilitator fills in gaps or aligns where necessary
Facilitation In Practice
Let’s look at steps in practice:
Introduction of new feature in the Customer Relationship Management system
Split participants into small teams
Each team is given a computer to use running the upgraded CRM system
Teams define one regular process they follow with the current CRM system
Teams use their computer to work out how to do the current process in the upgraded system
Teams report out their findings to others and discuss the differences
Introduction of additional banking compliance rules
Split participants into small teams
Each team is allocated one new compliance rule
Teams discuss their rule and what impact it is likely to have on the daily processing
Teams present out their discussion results and handle questions
That’s it! Next time you have a workshop to facilitate remember these three words:
Just. Stop. Talking.
David McGimpsey is a facilitator, speaker, and author. His popular blog can be found at